[Assignment]
Please reproduce the part of the lines further down that starts with the line with "0.82" and stops after the one with "Sr4 0.750".

[Source]
********
1.
The following is a GGA-PBE calculation of a relaxed AsPb6Se3S2 crystal, from Alexandria.

Cell: 7.482 7.482 7.450 Å, 99.49 99.49 120.16°
Fractional coordinates of all 12 atoms:
As1 0.000 0.000 0.000
Pb1 0.921 0.588 0.761
Pb2 0.749 0.749 0.242
Pb3 0.079 0.412 0.239
Pb4 0.588 0.921 0.761
Pb5 0.251 0.251 0.758
Pb6 0.412 0.079 0.239
Se1 0.164 0.836 0.500
Se2 0.836 0.164 0.500
Se3 0.500 0.500 0.500
S1 0.333 0.667 0.000
S2 0.667 0.333 0.000

Energy relative to the elements, uncorrected (eV/atom): -0.418
DOS at the Fermi energy (states/eV per atom): 0.55

2.
The following is a GGA-PBE calculation of a relaxed TlPdPb2 crystal, from Alexandria.

Cell: 5.252 5.252 5.252 Å, 60.00 60.00 60.00°
Fractional coordinates of all 4 atoms:
Pb1 0.250 0.250 0.250
Pb2 0.750 0.750 0.750
Tl1 0.500 0.500 0.500
Pd1 0.000 0.000 0.000

Distance to the lowest polymorph of the same formula (meV per atom): 178
Energy of formation from the pure elements (eV per atom): 0.04
DOS at the Fermi energy (states/eV per atom): 0.82

3.
The following is a GGA-PBE calculation of a relaxed Pu2GaHg crystal, from Alexandria.

Cell: 3.181 3.181 9.230 Å, 90.00 90.00 90.00°
Fractional coordinates of all 4 atoms:
Hg1 0.500 0.500 0.500
Ga1 0.500 0.500 0.000
Pu1 0.000 0.000 0.766
Pu2 0.000 0.000 0.234

Energy of formation from the pure elements (eV per atom): -0.22
DOS at the Fermi energy (states/eV per atom): 2.77

4.
The following is a GGA-PBE calculation of a relaxed YNbPCl2 crystal, from Alexandria.

Cell: 5.028 5.028 5.642 Å, 90.00 90.00 90.00°
Fractional coordinates of all 5 atoms:
Y1 0.000 0.000 0.000
P1 0.000 0.000 0.500
Nb1 0.500 0.500 0.500
Cl1 0.000 0.500 0.000
Cl2 0.500 0.000 0.000

Energy relative to the elements, uncorrected (eV/atom): -0.130
Distance to the lowest polymorph of the same formula (meV per atom): 336
DOS at the Fermi energy (states/eV per atom): 1.84

5.
The following is a GGA-PBE calculation of a relaxed AlTeSe2Br crystal, from Alexandria.

Cell: 5.409 5.409 5.623 Å, 90.00 90.00 90.00°
Fractional coordinates of all 5 atoms:
Te1 0.000 0.000 0.000
Se1 0.000 0.500 0.000
Se2 0.500 0.000 0.000
Br1 0.000 0.000 0.500
Al1 0.500 0.500 0.500

Energy relative to the elements, uncorrected (eV/atom): 0.285
Distance to the lowest polymorph of the same formula (meV per atom): 302
DOS at the Fermi energy (states/eV per atom): 0.22

6.
The following is a GGA-PBE calculation of a relaxed La2PmDy2Tm2 crystal, from Alexandria.

Cell: 5.091 6.237 8.080 Å, 97.53 90.00 114.09°
Fractional coordinates of all 7 atoms:
La1 0.142 0.285 0.428
La2 0.858 0.715 0.572
Pm1 0.000 0.000 0.000
Dy1 0.571 0.142 0.720
Dy2 0.429 0.858 0.280
Tm1 0.716 0.432 0.138
Tm2 0.284 0.568 0.862

Energy of formation from the pure elements (eV per atom): 0.03
DOS at the Fermi energy (states/eV per atom): 1.62

7.
The following is a GGA-PBE calculation of a relaxed Dy5Ho2Th2 crystal, from Alexandria.

Cell: 3.473 8.123 12.777 Å, 117.77 97.81 90.00°
Fractional coordinates of all 9 atoms:
Dy1 0.694 0.834 0.388
Dy2 0.306 0.166 0.612
Dy3 0.909 0.551 0.818
Dy4 0.091 0.449 0.182
Dy5 0.000 0.000 0.000
Ho1 0.836 0.844 0.671
Ho2 0.164 0.156 0.329
Th1 0.552 0.747 0.105
Th2 0.448 0.253 0.895

Distance to the lowest polymorph of the same formula (meV per atom): 46
Energy of formation from the pure elements (eV per atom): 0.29
DOS at the Fermi energy (states/eV per atom): 1.56

8.
The following is a GGA-PBE calculation of a relaxed SrPd crystal, from Alexandria.

Cell: 6.846 6.846 6.846 Å, 90.00 90.00 90.00°
Fractional coordinates of all 8 atoms:
Sr1 0.250 0.250 0.250
Sr2 0.250 0.750 0.750
Sr3 0.750 0.250 0.750
Sr4 0.750 0.750 0.250
Pd1 0.000 0.000 0.000
Pd2 0.000 0.500 0.500
Pd3 0.500 0.000 0.500
Pd4 0.500 0.500 0.000

Energy of formation from the pure elements (eV per atom): -0.07

One value per record, in order, for spin magnetization: 0.00; 0.00; 11.59; 3.00; 0.00; 0.00; 0.00; 0.00 μB per cell.

=====

No. 1
Material: Ac2BiPtO5
Method: DFT, PBE-GGA
State: optimized geometry

Final energy: -6.6827 eV/atom
********

[Outcome]
DOS at the Fermi energy (states/eV per atom): 0.82

3.
The following is a GGA-PBE calculation of a relaxed Pu2GaHg crystal, from Alexandria.

Cell: 3.181 3.181 9.230 Å, 90.00 90.00 90.00°
Fractional coordinates of all 4 atoms:
Hg1 0.500 0.500 0.500
Ga1 0.500 0.500 0.000
Pu1 0.000 0.000 0.766
Pu2 0.000 0.000 0.234

Energy of formation from the pure elements (eV per atom): -0.22
DOS at the Fermi energy (states/eV per atom): 2.77

4.
The following is a GGA-PBE calculation of a relaxed YNbPCl2 crystal, from Alexandria.

Cell: 5.028 5.028 5.642 Å, 90.00 90.00 90.00°
Fractional coordinates of all 5 atoms:
Y1 0.000 0.000 0.000
P1 0.000 0.000 0.500
Nb1 0.500 0.500 0.500
Cl1 0.000 0.500 0.000
Cl2 0.500 0.000 0.000

Energy relative to the elements, uncorrected (eV/atom): -0.130
Distance to the lowest polymorph of the same formula (meV per atom): 336
DOS at the Fermi energy (states/eV per atom): 1.84

5.
The following is a GGA-PBE calculation of a relaxed AlTeSe2Br crystal, from Alexandria.

Cell: 5.409 5.409 5.623 Å, 90.00 90.00 90.00°
Fractional coordinates of all 5 atoms:
Te1 0.000 0.000 0.000
Se1 0.000 0.500 0.000
Se2 0.500 0.000 0.000
Br1 0.000 0.000 0.500
Al1 0.500 0.500 0.500

Energy relative to the elements, uncorrected (eV/atom): 0.285
Distance to the lowest polymorph of the same formula (meV per atom): 302
DOS at the Fermi energy (states/eV per atom): 0.22

6.
The following is a GGA-PBE calculation of a relaxed La2PmDy2Tm2 crystal, from Alexandria.

Cell: 5.091 6.237 8.080 Å, 97.53 90.00 114.09°
Fractional coordinates of all 7 atoms:
La1 0.142 0.285 0.428
La2 0.858 0.715 0.572
Pm1 0.000 0.000 0.000
Dy1 0.571 0.142 0.720
Dy2 0.429 0.858 0.280
Tm1 0.716 0.432 0.138
Tm2 0.284 0.568 0.862

Energy of formation from the pure elements (eV per atom): 0.03
DOS at the Fermi energy (states/eV per atom): 1.62

7.
The following is a GGA-PBE calculation of a relaxed Dy5Ho2Th2 crystal, from Alexandria.

Cell: 3.473 8.123 12.777 Å, 117.77 97.81 90.00°
Fractional coordinates of all 9 atoms:
Dy1 0.694 0.834 0.388
Dy2 0.306 0.166 0.612
Dy3 0.909 0.551 0.818
Dy4 0.091 0.449 0.182
Dy5 0.000 0.000 0.000
Ho1 0.836 0.844 0.671
Ho2 0.164 0.156 0.329
Th1 0.552 0.747 0.105
Th2 0.448 0.253 0.895

Distance to the lowest polymorph of the same formula (meV per atom): 46
Energy of formation from the pure elements (eV per atom): 0.29
DOS at the Fermi energy (states/eV per atom): 1.56

8.
The following is a GGA-PBE calculation of a relaxed SrPd crystal, from Alexandria.

Cell: 6.846 6.846 6.846 Å, 90.00 90.00 90.00°
Fractional coordinates of all 8 atoms:
Sr1 0.250 0.250 0.250
Sr2 0.250 0.750 0.750
Sr3 0.750 0.250 0.750
Sr4 0.750 0.750 0.250